== Work order ==
Copy the whole of the entries further down unchanged, please.
== Data ==
<<<
Computed, not measured: an optimized crystal structure of SmFe5 at the PBE level of DFT.

The structure in CIF format:
```
data_SmFe5
_cell_length_a 3.945
_cell_length_b 5.089
_cell_length_c 5.089
_cell_angle_alpha 120.00
_cell_angle_beta 90.00
_cell_angle_gamma 90.00
_space_group_name_H-M_alt 'P 1'
_space_group_IT_number 1
_space_group_name_Hall 'P 1'
loop_
_atom_site_label
_atom_site_type_symbol
_atom_site_fract_x
_atom_site_fract_y
_atom_site_fract_z
Sm1 Sm 0.000 0.000 0.000
Fe1 Fe 0.500 0.000 0.500
Fe2 Fe 0.000 0.667 0.333
Fe3 Fe 0.000 0.333 0.667
Fe4 Fe 0.500 0.500 0.500
Fe5 Fe 0.500 0.500 0.000
```

Computed properties:
The calculation puts the formation enthalpy at 0 K at 0.006 eV/atom.

=====

Computed, not measured: an optimized crystal structure of AlPS4 at the PBE level of DFT.

The structure in CIF format:
```
data_AlPS4
_cell_length_a 6.610
_cell_length_b 6.610
_cell_length_c 6.610
_cell_angle_alpha 128.88
_cell_angle_beta 123.68
_cell_angle_gamma 79.50
_space_group_name_H-M_alt 'P 1'
_space_group_IT_number 1
_space_group_name_Hall 'P 1'
loop_
_atom_site_label
_atom_site_type_symbol
_atom_site_fract_x
_atom_site_fract_y
_atom_site_fract_z
S1 S 0.927 0.890 0.591
S2 S 0.702 0.110 0.038
S3 S 0.073 0.664 0.962
S4 S 0.298 0.336 0.409
P1 P 0.000 0.000 0.000
Al1 Al 0.000 0.500 0.500
```

Computed properties:
The largest piezoelectric modulus comes out at 0.1 C/m². The calculation puts the formation enthalpy at 0 K at -0.924 eV/atom.

=====

Computed, not measured: an optimized crystal structure of Th2Fe17H3 at the PBE level of DFT.

The structure in CIF format:
```
data_Th2Fe17H3
_cell_length_a 6.463
_cell_length_b 6.463
_cell_length_c 6.463
_cell_angle_alpha 83.86
_cell_angle_beta 83.86
_cell_angle_gamma 83.86
_space_group_name_H-M_alt 'P 1'
_space_group_IT_number 1
_space_group_name_Hall 'P 1'
loop_
_atom_site_label
_atom_site_type_symbol
_atom_site_fract_x
_atom_site_fract_y
_atom_site_fract_z
H1 H 0.500 0.000 0.500
H2 H 0.500 0.500 0.000
H3 H 0.000 0.500 0.500
Fe1 Fe 0.000 0.000 0.500
Fe2 Fe 0.659 0.659 0.154
Fe3 Fe 0.000 0.283 0.717
Fe4 Fe 0.341 0.846 0.341
Fe5 Fe 0.717 0.000 0.283
Fe6 Fe 0.000 0.717 0.283
Fe7 Fe 0.500 0.000 0.000
Fe8 Fe 0.000 0.500 0.000
Fe9 Fe 0.283 0.000 0.717
Fe10 Fe 0.846 0.341 0.341
Fe11 Fe 0.154 0.659 0.659
Fe12 Fe 0.717 0.283 0.000
Fe13 Fe 0.095 0.095 0.095
Fe14 Fe 0.341 0.341 0.846
Fe15 Fe 0.905 0.905 0.905
Fe16 Fe 0.283 0.717 0.000
Fe17 Fe 0.659 0.154 0.659
Th1 Th 0.341 0.341 0.341
Th2 Th 0.659 0.659 0.659
```

Computed properties:
For the size of the total moment, the calculation gives 35.7 Bohr magnetons per cell. The calculation puts the formation enthalpy at 0 K at -0.091 eV/atom.

=====

Computed, not measured: an optimized crystal structure of AgPO3 at the PBE level of DFT.

The structure in CIF format:
```
data_AgPO3
_cell_length_a 4.050
_cell_length_b 5.873
_cell_length_c 11.965
_cell_angle_alpha 68.47
_cell_angle_beta 90.00
_cell_angle_gamma 90.00
_space_group_name_H-M_alt 'P 1'
_space_group_IT_number 1
_space_group_name_Hall 'P 1'
loop_
_atom_site_label
_atom_site_type_symbol
_atom_site_fract_x
_atom_site_fract_y
_atom_site_fract_z
P1 P 0.012 0.155 0.671
P2 P 0.988 0.845 0.329
P3 P 0.512 0.845 0.829
P4 P 0.488 0.155 0.171
O1 O 0.757 0.925 0.713
O2 O 0.743 0.925 0.213
O3 O 0.181 0.146 0.561
O4 O 0.319 0.146 0.061
O5 O 0.149 0.613 0.330
O6 O 0.681 0.854 0.939
O7 O 0.351 0.613 0.830
O8 O 0.819 0.854 0.439
O9 O 0.851 0.387 0.670
O10 O 0.257 0.075 0.787
O11 O 0.243 0.075 0.287
O12 O 0.649 0.387 0.170
Ag1 Ag 0.640 0.318 0.410
Ag2 Ag 0.140 0.682 0.090
Ag3 Ag 0.360 0.682 0.590
Ag4 Ag 0.860 0.318 0.910
```

Computed properties:
For the size of the total moment, the calculation gives 0.0 Bohr magnetons per cell. The calculation puts the formation enthalpy at 0 K at -1.915 eV/atom.

=====

Computed, not measured: an optimized crystal structure of Cs2SiF6 at the PBE level of DFT.

The structure in CIF format:
```
data_Cs2SiF6
_cell_length_a 6.415
_cell_length_b 6.415
_cell_length_c 6.415
>>>
== Solution ==
Computed, not measured: an optimized crystal structure of SmFe5 at the PBE level of DFT.

The structure in CIF format:
```
data_SmFe5
_cell_length_a 3.945
_cell_length_b 5.089
_cell_length_c 5.089
_cell_angle_alpha 120.00
_cell_angle_beta 90.00
_cell_angle_gamma 90.00
_space_group_name_H-M_alt 'P 1'
_space_group_IT_number 1
_space_group_name_Hall 'P 1'
loop_
_atom_site_label
_atom_site_type_symbol
_atom_site_fract_x
_atom_site_fract_y
_atom_site_fract_z
Sm1 Sm 0.000 0.000 0.000
Fe1 Fe 0.500 0.000 0.500
Fe2 Fe 0.000 0.667 0.333
Fe3 Fe 0.000 0.333 0.667
Fe4 Fe 0.500 0.500 0.500
Fe5 Fe 0.500 0.500 0.000
```

Computed properties:
The calculation puts the formation enthalpy at 0 K at 0.006 eV/atom.

=====

Computed, not measured: an optimized crystal structure of AlPS4 at the PBE level of DFT.

The structure in CIF format:
```
data_AlPS4
_cell_length_a 6.610
_cell_length_b 6.610
_cell_length_c 6.610
_cell_angle_alpha 128.88
_cell_angle_beta 123.68
_cell_angle_gamma 79.50
_space_group_name_H-M_alt 'P 1'
_space_group_IT_number 1
_space_group_name_Hall 'P 1'
loop_
_atom_site_label
_atom_site_type_symbol
_atom_site_fract_x
_atom_site_fract_y
_atom_site_fract_z
S1 S 0.927 0.890 0.591
S2 S 0.702 0.110 0.038
S3 S 0.073 0.664 0.962
S4 S 0.298 0.336 0.409
P1 P 0.000 0.000 0.000
Al1 Al 0.000 0.500 0.500
```

Computed properties:
The largest piezoelectric modulus comes out at 0.1 C/m². The calculation puts the formation enthalpy at 0 K at -0.924 eV/atom.

=====

Computed, not measured: an optimized crystal structure of Th2Fe17H3 at the PBE level of DFT.

The structure in CIF format:
```
data_Th2Fe17H3
_cell_length_a 6.463
_cell_length_b 6.463
_cell_length_c 6.463
_cell_angle_alpha 83.86
_cell_angle_beta 83.86
_cell_angle_gamma 83.86
_space_group_name_H-M_alt 'P 1'
_space_group_IT_number 1
_space_group_name_Hall 'P 1'
loop_
_atom_site_label
_atom_site_type_symbol
_atom_site_fract_x
_atom_site_fract_y
_atom_site_fract_z
H1 H 0.500 0.000 0.500
H2 H 0.500 0.500 0.000
H3 H 0.000 0.500 0.500
Fe1 Fe 0.000 0.000 0.500
Fe2 Fe 0.659 0.659 0.154
Fe3 Fe 0.000 0.283 0.717
Fe4 Fe 0.341 0.846 0.341
Fe5 Fe 0.717 0.000 0.283
Fe6 Fe 0.000 0.717 0.283
Fe7 Fe 0.500 0.000 0.000
Fe8 Fe 0.000 0.500 0.000
Fe9 Fe 0.283 0.000 0.717
Fe10 Fe 0.846 0.341 0.341
Fe11 Fe 0.154 0.659 0.659
Fe12 Fe 0.717 0.283 0.000
Fe13 Fe 0.095 0.095 0.095
Fe14 Fe 0.341 0.341 0.846
Fe15 Fe 0.905 0.905 0.905
Fe16 Fe 0.283 0.717 0.000
Fe17 Fe 0.659 0.154 0.659
Th1 Th 0.341 0.341 0.341
Th2 Th 0.659 0.659 0.659
```

Computed properties:
For the size of the total moment, the calculation gives 35.7 Bohr magnetons per cell. The calculation puts the formation enthalpy at 0 K at -0.091 eV/atom.

=====

Computed, not measured: an optimized crystal structure of AgPO3 at the PBE level of DFT.

The structure in CIF format:
```
data_AgPO3
_cell_length_a 4.050
_cell_length_b 5.873
_cell_length_c 11.965
_cell_angle_alpha 68.47
_cell_angle_beta 90.00
_cell_angle_gamma 90.00
_space_group_name_H-M_alt 'P 1'
_space_group_IT_number 1
_space_group_name_Hall 'P 1'
loop_
_atom_site_label
_atom_site_type_symbol
_atom_site_fract_x
_atom_site_fract_y
_atom_site_fract_z
P1 P 0.012 0.155 0.671
P2 P 0.988 0.845 0.329
P3 P 0.512 0.845 0.829
P4 P 0.488 0.155 0.171
O1 O 0.757 0.925 0.713
O2 O 0.743 0.925 0.213
O3 O 0.181 0.146 0.561
O4 O 0.319 0.146 0.061
O5 O 0.149 0.613 0.330
O6 O 0.681 0.854 0.939
O7 O 0.351 0.613 0.830
O8 O 0.819 0.854 0.439
O9 O 0.851 0.387 0.670
O10 O 0.257 0.075 0.787
O11 O 0.243 0.075 0.287
O12 O 0.649 0.387 0.170
Ag1 Ag 0.640 0.318 0.410
Ag2 Ag 0.140 0.682 0.090
Ag3 Ag 0.360 0.682 0.590
Ag4 Ag 0.860 0.318 0.910
```

Computed properties:
For the size of the total moment, the calculation gives 0.0 Bohr magnetons per cell. The calculation puts the formation enthalpy at 0 K at -1.915 eV/atom.

=====

Computed, not measured: an optimized crystal structure of Cs2SiF6 at the PBE level of DFT.

The structure in CIF format:
```
data_Cs2SiF6
_cell_length_a 6.415
_cell_length_b 6.415
_cell_length_c 6.415